Never Forget Your Roots

Never Forget Your Roots

[Here the page breaks off for data records]
'''
[1]
101
Properties=species:S:1:pos:R:3:forces:R:3:lowdin_spin:R:1 method="wB97M-V/def2-TZVPD" homo_lumo_gap_ha="0.2503 / 0.2298" charge=+1 s2=8.78 max_force_ev_per_a=4.556 e_above_lowest_ev=17.272 multiplicity=6 e_lumo_ev="-1.884 / -3.660"
Ir 0.401 0.365 -0.452 0.0 -0.2 -0.9 1.47
Cl -0.973 -2.768 -0.600 -2.2 -2.5 -0.6 0.21
S -2.819 -1.629 1.733 0.3 0.1 0.0 0.68
S -3.373 1.430 -2.680 0.0 0.1 0.0 0.00
S 2.842 -0.373 -0.501 -0.3 -0.4 0.2 0.00
S 0.693 1.311 1.949 -0.2 0.1 0.0 0.11
N -0.477 0.543 4.340 -0.1 0.0 0.0 0.01
N 0.988 -1.893 1.341 -0.2 -1.2 0.1 0.11
N 3.140 -0.915 2.204 0.0 -0.1 -0.1 0.00
N -2.154 -3.033 -1.746 1.2 0.1 -1.7 0.81
N 1.057 2.552 -0.680 -0.2 -0.1 0.0 0.07
N 0.551 0.780 -2.909 -0.1 -0.2 -0.1 0.11
N 4.917 -0.045 1.277 0.0 0.0 0.1 0.00
N 0.989 -0.877 3.565 -0.2 -0.1 -0.1 0.02
C -0.708 0.882 -3.372 0.0 0.1 0.1 0.01
C 2.679 4.191 -1.289 0.0 0.0 0.0 0.00
C 0.297 -2.407 0.572 1.7 0.8 1.3 0.09
C -1.448 1.009 -0.995 -0.3 -0.6 0.2 -0.01
C -0.371 -0.495 5.250 0.0 0.0 0.0 0.01
C -0.443 2.981 4.683 0.0 0.0 0.0 0.00
C 0.526 -1.372 4.764 0.0 0.0 0.0 0.01
C 5.884 2.132 0.748 0.0 0.0 0.0 0.00
C 0.135 3.520 -0.655 0.0 0.0 0.1 0.01
C -1.967 -2.291 0.555 -0.4 -0.1 0.3 0.70
C -2.648 1.174 -0.243 0.0 0.2 0.0 0.01
C 4.082 -0.732 3.195 0.0 0.0 0.0 0.00
C 1.309 0.110 -5.068 0.0 0.1 0.0 0.00
C 5.173 -0.195 2.631 0.0 0.0 0.0 0.00
C 3.643 -0.469 1.034 0.1 0.3 0.0 0.00
C 0.017 0.253 -5.566 0.0 0.0 0.0 0.00
C -2.145 1.576 5.831 0.0 0.0 0.0 0.00
C -1.709 1.130 -2.345 0.1 0.1 0.0 0.00
C -1.342 1.754 4.546 0.1 0.0 -0.1 0.00
C 7.319 0.058 0.794 0.0 0.0 0.0 0.00
C -0.274 -1.511 -1.517 1.3 4.0 -1.8 0.12
C 1.528 0.403 -3.737 0.0 0.1 0.0 0.01
C -0.428 -4.283 -0.695 1.6 -1.3 0.8 0.12
C 0.426 4.837 -0.952 0.0 0.0 0.0 0.00
C 1.724 5.202 -1.288 0.0 0.0 0.0 0.00
C -4.356 -2.525 -2.620 0.1 0.2 0.0 0.03
C -2.949 -4.377 -3.614 0.1 0.2 0.0 0.01
C 5.766 0.428 -1.078 0.0 0.0 0.0 0.00
C -3.899 -4.596 -1.285 -0.1 0.1 -0.1 0.04
C -0.996 0.658 -4.720 0.0 0.0 0.0 0.00
C -3.748 1.401 -1.014 0.0 0.1 0.0 0.00
C 2.084 6.621 -1.610 0.0 0.0 0.0 0.00
C 2.312 2.896 -0.985 0.0 0.0 0.0 0.01
C -2.312 1.890 3.374 0.0 0.0 0.0 0.01
C 0.350 0.285 3.298 0.2 0.1 0.0 0.02
C -3.320 -3.621 -2.342 -0.6 -0.6 1.1 0.08
C 5.952 0.641 0.422 -0.1 0.0 0.0 0.00
B 1.855 -1.687 2.577 -0.1 0.7 -0.1 0.01
H 2.103 -2.764 3.035 0.0 0.0 0.1 0.00
H -0.561 -5.124 -1.363 -1.2 0.9 -0.7 0.01
H -4.085 -1.943 -3.502 0.0 0.0 0.0 0.00
H -3.117 -5.218 -0.852 0.0 0.0 -0.1 0.00
H -2.810 0.937 3.183 0.0 0.0 0.0 0.01
H -1.066 3.864 4.831 0.0 0.0 0.0 0.00
H -4.764 1.559 -0.689 0.0 0.0 0.0 0.00
H -3.068 2.635 3.622 0.0 0.0 0.0 0.00
H 7.639 0.328 1.799 0.0 0.0 0.0 0.00
H 3.712 4.407 -1.530 0.0 0.0 0.0 0.00
H -0.869 3.223 -0.388 0.0 0.0 0.0 0.00
H 2.889 6.667 -2.342 0.0 0.0 0.0 0.00
H -0.365 5.574 -0.923 0.0 0.0 0.0 0.00
H 4.887 0.928 -1.466 0.0 0.0 0.0 0.00
H 2.126 -0.211 -5.698 0.0 0.0 0.0 0.00
H -0.195 0.039 -6.605 0.0 0.0 0.0 0.00
H 0.878 -2.305 5.164 0.0 0.0 0.0 0.00
H -4.391 -4.043 -0.485 0.0 0.0 0.0 0.00
'''
[The data records stop here]

"Time flies” is the biggest understatement of our lives. We don’t feel like we’re aging (well, most of the time we don’t) but when we catch a glimpse of our reflection in a window or mirror, especially when we’re not expecting it, we see ourselves how we truly are. Inside, we feel the same as we always did but on the outside, our appearances are changing. We’re older, greyer, slower, and more cautious.

I’ve been leading Alberta One-Call Corporation / Utility Safety Partners for over eleven years now and have had the absolute pleasure and fortune to work with some of the best and brightest in the damage prevention industry. Together, we’ve done some impressive work – but recognize there’s a lot more to do – we’ve made a positive impact on the damage prevention process in Alberta and across Canada. Our successes have been recognized internationally as well. But we’re just custodians of this non-profit organization; managing its goals, objectives, operations and relationships until it’s time for someone else to take the lead. The torch was passed to us from our predecessors and to them from their predecessors. But you don’t have to go too far back to get to the beginning and thankfully, my predecessor, Bob Chisholm, continues to remain in the picture; connecting USP with its roots – "the Old Boys” as he refers to them.

The affectionately named "Old Boys” were among the first series of Board Members representing the founding companies that created and incorporated Alberta One-Call Location Corporation on the 25th of August, 1982.

Next to the article, the page also holds records of molecules >
- - -
(1)
{
  "formula": "C41H43Br2Cl2F4N3O4RbS2",
  "method": "ωB97M-V/def2-TZVPD",
  "orbital_gap_ev": 4.53,
  "relative_energy_kcal_mol": 75.9,
  "lumo_energy_ev": 1.33,
  "homo_ev": -3.197,
  "charge": -1,
  "elements": ["Rb", "C", "C", "N", "C", "C", "C", "C", "N", "C", "C", "F", "C", "F", "C", "C", "F", "C", "F", "H", "H", "H", "H", "H", "H", "H", "H", "H", "H", "H", "H", "H", "H", "H", "Cl", "C", "Cl", "H", "H", "O", "S", "C", "C", "C", "C", "S", "O", "C", "C", "C", "C", "C", "C", "C", "C", "C", "C", "C", "C", "H", "H", "H", "H", "H", "H", "H", "H", "H", "H", "H", "H", "H", "H", "H", "H", "H", "H", "Br", "C", "C", "C", "C", "C", "N", "H", "H", "H", "H", "Br", "C", "C", "C", "C", "C", "C", "C", "O", "O", "H", "H", "H", "H"],
- - -

Every year, Bob Chisholm reaches out to me and suggests a date for the annual Old Boys’ lunch. Bob does the legwork confirming the date and location and we all get together to chat and reminisce. 

[Between two parts of the entry: data records]
-- begin --
(1)
Formula: C16H33O12P3S
Source: the OMol25 dataset
Level of theory: the ωB97M-V functional and the def2-TZVPD basis

Geometry as ORCA input:
```
! wB97M-V def2-TZVPD RIJCOSX def2/J DEFGRID3
* xyz 0 1
O -0.598 -3.752 -8.569
C -0.145 -2.688 -8.336
O 0.049 -1.669 -9.263
C 1.164 -0.982 -8.837
O 1.994 -0.447 -9.485
C 1.123 -1.031 -7.318
P 1.963 0.144 -6.236
S 1.051 1.869 -6.425
C 0.342 -2.060 -7.039
O 0.043 -2.420 -5.771
H 3.299 0.316 -6.646
H 1.898 -0.294 -4.900
H -0.870 -2.147 -5.623
O 2.029 -0.893 -2.446
P 2.046 -1.179 -0.977
O 3.388 -2.105 -0.778
C 4.666 -1.477 -0.897
C 4.935 -0.485 0.220
O 0.852 -2.301 -0.915
C 0.016 -2.579 -2.031
C 0.585 -3.701 -2.873
O 1.880 -0.818 0.606
C 0.969 -1.450 1.522
C 1.409 -2.842 1.921
H 4.743 -0.985 -1.872
H 5.410 -2.272 -0.869
H 4.253 0.368 0.166
H 5.956 -0.105 0.156
H 4.793 -0.953 1.194
H -0.156 -1.680 -2.622
H -0.957 -2.879 -1.633
H 1.628 -3.522 -3.133
H 0.013 -3.815 -3.792
H 0.556 -4.646 -2.328
H -0.043 -1.437 1.128
H 0.951 -0.820 2.413
H 1.586 -3.492 1.068
H 0.644 -3.300 2.551
H 2.342 -2.799 2.486
O -1.473 1.029 2.792
P -2.539 1.907 3.358
O -1.892 3.415 3.272
C -1.770 4.024 1.984
C -3.116 4.344 1.359
O -2.331 1.577 4.951
C -1.482 0.531 5.417
C -0.080 1.043 5.678
O -4.076 2.417 3.595
C -4.748 2.493 4.861
C -4.270 3.648 5.714
H -1.186 3.374 1.325
H -1.203 4.944 2.125
H -3.673 3.431 1.130
H -2.983 4.900 0.430
H -3.727 4.935 2.040
H -1.482 -0.311 4.728
H -1.916 0.169 6.352
H 0.317 1.586 4.820
H 0.595 0.217 5.911
H -0.080 1.738 6.519
H -4.685 1.543 5.388
H -5.805 2.641 4.631
H -3.194 3.644 5.865
H -4.756 3.609 6.689
H -4.522 4.598 5.240
*
```

E_LUMO in eV: -0.93
SMILES: O=C1OC(=O)C([PH2]=S)=C1O.CCOP(=O)(OCC)OCC.CCOP(=O)(OCC)OCC
E_tot in eV: -80399.5958



(2)
Formula: C16H34BClN2O3
Source: the OMol25 dataset
Level of theory: the ωB97M-V functional and the def2-TZVPD basis

Geometry as ORCA input:
```
! wB97M-V def2-TZVPD RIJCOSX def2/J DEFGRID3
* xyz -1 2
C 1.344 -5.004 -2.360
N 1.615 -3.929 -3.312
C 0.385 -3.520 -3.984
C -0.318 -2.296 -3.318
C -1.852 -2.219 -3.641
C -2.696 -3.435 -3.119
C -3.559 -3.060 -1.863
Cl -2.554 -2.497 -0.475
C 0.188 -0.855 -3.867
O 0.321 0.024 -2.762
B 0.880 -0.920 -1.738
O 0.060 -2.147 -1.964
H 0.436 -4.775 -1.750
H 2.178 -5.212 -1.669
H 1.094 -5.922 -2.942
H 2.099 -3.148 -2.886
H -0.293 -4.402 -3.977
H 0.619 -3.259 -5.039
H -1.914 -2.221 -4.753
H -2.313 -1.282 -3.282
H -3.449 -3.675 -3.905
H -2.104 -4.335 -2.880
H -4.123 -3.963 -1.561
H -4.241 -2.247 -2.164
H 1.059 -0.855 -4.559
H -0.670 -0.383 -4.406
H 0.648 -0.572 -0.602
H 2.055 -1.005 -2.064
C 1.079 0.602 3.143
C 0.069 1.497 2.375
C 0.719 2.081 1.108
C 1.703 3.208 1.390
C 1.036 4.292 2.230
C 0.420 3.741 3.523
N -0.455 2.560 3.284
O -1.591 2.999 2.793
C 1.559 3.382 4.500
C -0.341 4.874 4.231
C -1.027 0.527 1.907
H 2.046 0.549 2.640
H 1.251 0.931 4.167
H 0.713 -0.420 3.247
H -0.060 2.464 0.441
H 1.222 1.286 0.553
H 2.596 2.822 1.891
H 2.045 3.638 0.446
H 1.767 5.070 2.471
H 0.262 4.779 1.627
H 1.167 2.892 5.395
H 2.080 4.284 4.827
-- stop --

Perhaps it’s because I’m from a big family where large gatherings were the norm but I really enjoy these get-togethers. I enjoy sitting back and listening to the memories unfolding and watching old friends reconnect. There’s a genuine comradery among these guys - I suppose being part of a team that created something as necessary, longstanding and lifesaving as Alberta One-Call will do that - but there’s also a common humbleness. 

Because of their tenacity, vision, dedication and stick-to-it-iveness, countless lives across Alberta have been saved, career paths launched and a damage prevention culture created. Yes, we’re still improving and yes, there’s more work to do but we have come a long long way over 40 years.

From today’s Board of Directors to all of you, thank you for your dedication, tenacity, vision and hard work.

Mike Sullivan – President, Utility Safety Partners